Our next meeting on February 13th at 7PM will host
Self Help Nottingham who will share their activities and
support they offer. Everyone is welcome.
(These crystal structures were left in the page by mistake)
# 1
Entry from the Materials Project: crystalline Sr4Ir3O10 at its relaxed geometry (GGA-PBE).

a b c (Å): 14.663 14.663 14.663
angles (deg): 164.37 164.37 22.17
Sites, in units of the cell vectors:
1 Ir 0.857 0.857 0.000
2 Ir 0.000 0.000 0.000
3 Ir 0.143 0.143 0.000
4 O 0.363 0.863 0.500
5 O 0.070 0.070 0.000
6 O 0.000 0.500 0.500
7 O 0.213 0.213 0.000
8 O 0.500 0.000 0.500
9 O 0.930 0.930 0.000
10 O 0.637 0.137 0.500
11 O 0.137 0.637 0.500
12 O 0.787 0.787 0.000
13 O 0.863 0.363 0.500
14 Sr 0.431 0.431 0.000
15 Sr 0.569 0.569 0.000
16 Sr 0.702 0.702 0.000
17 Sr 0.298 0.298 0.000

Formation energy from the elements = -2.085 eV per atom


# 2
Entry from the Materials Project: crystalline Li5NbO5 at its relaxed geometry (GGA-PBE).

a b c (Å): 5.334 5.334 5.885
angles (deg): 72.58 72.58 44.80
Sites, in units of the cell vectors:
1 Li 0.287 0.287 0.344
2 Li 0.713 0.713 0.656
3 Li 0.308 0.308 0.860
4 Li 0.692 0.692 0.140
5 Li 0.000 0.000 0.500
6 O 0.158 0.158 0.683
7 O 0.855 0.855 0.825
8 O 0.145 0.145 0.175
9 O 0.500 0.500 0.000
10 O 0.842 0.842 0.317
11 Nb 0.000 0.000 0.000

Formation energy from the elements = -2.542 eV per atom


# 3
Entry from the Materials Project: crystalline Na7Ta2Ga2Si5PO24 at its relaxed geometry (GGA-PBE).

a b c (Å): 8.971 8.975 22.226
angles (deg): 89.68 90.11 119.86
Sites, in units of the cell vectors:
1 Ga 0.668 0.341 0.185
2 Ga 0.993 0.997 0.351
3 Ga 0.003 0.006 0.851
4 Ga 0.336 0.673 0.518
5 Ga 0.667 0.333 0.685
6 Ga 0.327 0.658 0.018
7 O 0.503 0.151 0.923
8 O 0.700 0.533 0.525
9 O 0.495 0.645 0.577
10 O 0.210 0.170 0.810
11 O 0.160 0.456 0.976
12 O 0.151 0.502 0.577
13 O 0.635 0.501 0.923
14 O 0.187 0.163 0.089
15 O 0.877 0.373 0.644
16 O 0.484 0.313 0.744
17 O 0.354 0.852 0.578
18 O 0.534 0.694 0.973
19 O 0.163 0.701 0.477
20 O 0.309 0.481 0.757
21 O 0.505 0.865 0.076
22 O 0.497 0.127 0.643
23 O 0.500 0.864 0.359
24 O 0.174 0.695 0.756
25 O 0.803 0.840 0.194
26 O 0.036 0.835 0.692
27 O 0.697 0.165 0.029
28 O 0.466 0.169 0.525
29 O 0.829 0.788 0.311
30 O 0.964 0.795 0.811
31 O 0.134 0.636 0.358
32 O 0.150 0.650 0.078
33 O 0.806 0.822 0.912
34 O 0.630 0.504 0.643
35 O 0.364 0.865 0.859
36 O 0.025 0.182 0.911
37 O 0.166 0.202 0.692
38 O 0.848 0.498 0.422
39 O 0.025 0.840 0.412
40 O 0.687 0.517 0.245
41 O 0.350 0.506 0.077
42 O 0.831 0.518 0.745
43 O 0.854 0.365 0.923
44 O 0.829 0.311 0.243
45 O 0.835 0.529 0.025
46 O 0.634 0.121 0.141
47 O 0.301 0.835 0.977
48 O 0.829 0.298 0.527
49 O 0.816 0.974 0.411
50 O 0.797 0.964 0.691
51 O 0.305 0.826 0.256
52 O 0.499 0.364 0.422
53 O 0.307 0.459 0.475
54 O 0.522 0.826 0.757
55 O 0.035 0.202 0.190
56 O 0.161 0.974 0.912
57 O 0.484 0.167 0.244
58 O 0.187 0.028 0.589
59 O 0.838 0.038 0.808
60 O 0.541 0.838 0.477
61 O 0.961 0.162 0.307
62 O 0.972 0.160 0.589
63 O 0.173 0.478 0.257
64 O 0.362 0.493 0.362
65 O 0.519 0.691 0.257
66 O 0.489 0.359 0.145
67 O 0.468 0.301 0.026
68 O 0.840 0.812 0.589
69 O 0.134 0.499 0.859
70 O 0.976 0.817 0.089
71 O 0.165 0.965 0.192
We support the Prostate Cancer UK annual March for Men. This year our Nottingham Prostate Cancer Support Group walk was held at Attenborough Nature Reserve on June 2nd 2024. Thank you to all who supported our Prostate Cancer UK March For Men JustGiving page.
We are an inclusive, welcoming, friendly and open group with well over 100 members which supports patients who are newly diagnosed, or are undergoing treatment and those whose treatment is complete. We also welcome patient’s family members and loved ones.
-- The page is interrupted by data records --
********
Entry 1:
# VSO8, optimized geometry, DFT PBE+U
data_VSO8
_chemical_formula_sum 'V4 S4 O32'
_space_group_name_H-M_alt 'P 1'
_space_group_IT_number 1
_space_group_name_Hall 'P 1'
_cell_length_a 14.0136
_cell_length_b 5.8795
_cell_length_c 9.8284
_cell_angle_alpha 54.68
_cell_angle_beta 90.00
_cell_angle_gamma 90.00
loop_
_atom_site_label
_atom_site_type_symbol
_atom_site_fract_x
_atom_site_fract_y
_atom_site_fract_z
V1 V 0.8890 0.3469 0.2705
O1 O 0.8717 0.2865 0.1062
O2 O 0.0721 0.3080 0.8469
O3 O 0.9279 0.6920 0.1531
O4 O 0.6277 0.9390 0.8657
O5 O 0.2287 0.5874 0.7348
O6 O 0.4638 0.2293 0.7561
S1 S 0.6002 0.0145 0.1775
O7 O 0.3717 0.7135 0.3938
O8 O 0.2713 0.5874 0.2348
O9 O 0.8723 0.9390 0.3657
O10 O 0.9252 0.2340 0.4986
O11 O 0.9070 0.1324 0.7753
O12 O 0.5362 0.7707 0.2439
S2 S 0.3998 0.9855 0.8225
O13 O 0.4070 0.8676 0.7247
O14 O 0.4252 0.7660 0.0014
O15 O 0.1277 0.0610 0.6343
O16 O 0.9638 0.7707 0.7439
O17 O 0.7713 0.4126 0.2652
O18 O 0.0748 0.7660 0.5014
O19 O 0.7991 0.9282 0.6956
V2 V 0.1110 0.6531 0.7295
O20 O 0.2991 0.0718 0.8044
O21 O 0.0930 0.8676 0.2247
O22 O 0.1283 0.7135 0.8938
O23 O 0.5721 0.6920 0.6531
S3 S 0.8998 0.0145 0.6775
O24 O 0.0362 0.2293 0.2561
S4 S 0.1002 0.9855 0.3225
O25 O 0.3723 0.0610 0.1343
O26 O 0.5930 0.1324 0.2753
O27 O 0.6283 0.2865 0.6062
V3 V 0.3890 0.6531 0.2295
O28 O 0.7287 0.4126 0.7652
O29 O 0.7009 0.9282 0.1956
O30 O 0.2009 0.0718 0.3044
V4 V 0.6110 0.3469 0.7705
O31 O 0.4279 0.3080 0.3469
O32 O 0.5748 0.2340 0.9986
# * uncorrected energy: -0.2058 Ha/atom
# * E above lowest polymorph: 31 meV/atom

---

Entry 2:
# V2S3O12, optimized geometry, DFT PBE+U
data_V2S3O12
_chemical_formula_sum 'V8 S12 O48'
_space_group_name_H-M_alt 'P 1'
_space_group_IT_number 1
_space_group_name_Hall 'P 1'
_cell_length_a 8.6848
_cell_length_b 8.5033
_cell_length_c 14.6075
_cell_angle_alpha 54.96
_cell_angle_beta 90.00
_cell_angle_gamma 90.00
loop_
_atom_site_label
_atom_site_type_symbol
_atom_site_fract_x
_atom_site_fract_y
_atom_site_fract_z
V1 V 0.9622 0.1354 0.1163
O1 O 0.6905 0.5252 0.9029
O2 O 0.8811 0.8158 0.6209
O3 O 0.4741 0.5713 0.7226
O4 O 0.4183 0.8280 0.5320
O5 O 0.9741 0.4287 0.7774
V2 V 0.0326 0.6317 0.6172
O6 O 0.4961 0.9092 0.2317
O7 O 0.6730 0.7307 0.4387
O8 O 0.1905 0.4748 0.5971
O9 O 0.2655 0.0180 0.3176
S1 S 0.2521 0.4585 0.5075
S2 S 0.3887 0.0358 0.8552
O10 O 0.0259 0.5713 0.2226
O11 O 0.3270 0.2693 0.5613
O12 O 0.5259 0.4287 0.2774
O13 O 0.1189 0.1842 0.3791
O14 O 0.3668 0.6123 0.4378
O15 O 0.5817 0.1720 0.4680
S3 S 0.8821 0.2498 0.8511
O16 O 0.0817 0.8280 0.0320
O17 O 0.2846 0.7115 0.1716
O18 O 0.9222 0.1086 0.8262
S4 S 0.3821 0.7502 0.6489
O19 O 0.2154 0.7115 0.6716
O20 O 0.5039 0.0908 0.7683
O21 O 0.9329 0.1534 0.5433
S5 S 0.6113 0.9642 0.1448
O22 O 0.7655 0.9820 0.1824
O23 O 0.8703 0.5194 0.5688
O24 O 0.7345 0.9820 0.6824
S6 S 0.6179 0.2498 0.3511
O25 O 0.9961 0.0908 0.2683
O26 O 0.1297 0.4806 0.4312
S7 S 0.8887 0.9642 0.6448
O27 O 0.7846 0.2885 0.3284
O28 O 0.1332 0.6123 0.9378
********
We are here to support those who have previously been treated or are now being treated for prostate cancer.
We have a number of people who are happy to discuss their experiences of prostate cancer with those who have been newly diagnosed.
Periodically we email a free newsletter to share dates of meetings and relevant information about prostate cancer.
We meet every other month online or at convenient locations in the city close to public transport and with parking. Our next meetings will be Thursday February 13 at 7PM at the University of Nottingham, Biodiscovery Institute, NG7 2RD (entrance 2). Please see the details below! Please contact us on npcsg2004@gmail.com for further details.
Our meetings are currently held at the University of Nottingham, close to the tram and buses and where there is ample free parking in the evening close to the location. Please scroll down for directions. We invite guest speakers and encourage discussion.
Come to our free meetings and join our email list by contacting us at npcsg2004@gmail.com.
Our next meeting will be at 7-9PM on Thursday February 13th at the Biodiscovery Institute (entrance 2), University Park, NG7 2RD. Our meetings are informal, friendly and refreshments will be served. Come have a chat and cuppa!
Admission is free and all are welcome, including family members, partners and carers.
Patient to Patient telephone support: To speak in confidence with someone with first-hand experience of prostate cancer please email us using this email address npcsg2004@gmail.com.
Have you just been diagnosed with prostate cancer and have some challenging decisions to make?
Are you close to someone affected by prostate cancer?
Do you wish to find out more about prostate cancer from someone who has already had it?
You are not alone. We are here to help.
Our aims are simple:
~~~
Entry 1:
## InHg3 (PBE)

Data for crystalline InHg3 at its relaxed geometry.

Calculated values
SG: No. 194
DFT formation energy in meV per atom: 5

a = 6.7894 Å, b = 6.7894 Å, c = 5.4705 Å
α = 90.00°, β = 90.00°, γ = 120.00°
Element x y z (fractional)
In: 0.3333 0.6667 0.2500
In: 0.6667 0.3333 0.7500
Hg: 0.1667 0.3334 0.7500
Hg: 0.1667 0.8333 0.7500
Hg: 0.3334 0.1667 0.2500
Hg: 0.6666 0.8333 0.7500
Hg: 0.8333 0.1667 0.2500
Hg: 0.8333 0.6666 0.2500

Entry 2:
## LaInHg2 (PBE)

Data for crystalline LaInHg2 at its relaxed geometry.

Calculated values
SG: No. 225
DFT formation energy in meV per atom: -467

a = 5.3271 Å, b = 5.3271 Å, c = 5.3271 Å
α = 60.00°, β = 60.00°, γ = 60.00°
Element x y z (fractional)
La: 0.0000 0.0000 0.0000
In: 0.5000 0.5000 0.5000
Hg: 0.2500 0.2500 0.2500
Hg: 0.7500 0.7500 0.7500

Entry 3:
## LiInHg2 (PBE)

Data for crystalline LiInHg2 at its relaxed geometry.

Calculated values
SG: No. 225
DFT formation energy in meV per atom: -189

a = 5.0792 Å, b = 5.0792 Å, c = 5.0792 Å
α = 60.00°, β = 60.00°, γ = 60.00°
Element x y z (fractional)
Li: 0.0000 0.0000 0.0000
In: 0.5000 0.5000 0.5000
Hg: 0.2500 0.2500 0.2500
Hg: 0.7500 0.7500 0.7500

Entry 4:
## Li2InHg (PBE)

Data for crystalline Li2InHg at its relaxed geometry.

Calculated values
SG: No. 225
DFT formation energy in meV per atom: -321

a = 4.7282 Å, b = 4.7282 Å, c = 4.7282 Å
α = 60.00°, β = 60.00°, γ = 60.00°
Element x y z (fractional)
Li: 0.2500 0.2500 0.2500
Li: 0.7500 0.7500 0.7500
In: 0.0000 0.0000 0.0000
Hg: 0.5000 0.5000 0.5000

Entry 5:
## LiIn4Hg2O8 (PBE)

Data for crystalline LiIn4Hg2O8 at its relaxed geometry.

Calculated values
SG: No. 44
DFT formation energy in meV per atom: -1391

a = 6.8734 Å, b = 6.8734 Å, c = 6.8734 Å
α = 120.07°, β = 119.92°, γ = 90.01°
Element x y z (fractional)
Li: 0.0000 0.0000 0.0000
In: 0.1339 0.3990 0.2651
In: 0.1343 0.8684 0.2660
In: 0.1339 0.8688 0.7349
In: 0.6024 0.8684 0.7340
Hg: 0.5018 0.5018 0.0000
Hg: 0.7512 0.2512 0.5000
O: 0.3194 0.1072 0.2122
O: 0.3594 0.6427 0.7167
O: 0.3598 0.0772 0.7174
O: 0.3598 0.6424 0.2826
O: 0.8945 0.1077 0.2132
O: 0.8945 0.6812 0.7868
O: 0.8950 0.1072 0.7878
O: 0.9261 0.6427 0.2833

Entry 6:
## LiIn4Hg2O8 (PBE)

Data for crystalline LiIn4Hg2O8 at its relaxed geometry.

Calculated values
SG: No. 8
DFT formation energy in meV per atom: -1560

a = 6.5851 Å, b = 6.5851 Å, c = 6.8798 Å
α = 118.58°, β = 118.58°, γ = 60.02°
Element x y z (fractional)
Li: 0.0000 0.0000 0.0000
In: 0.0010 0.5009 0.0000
In: 0.5009 0.0010 0.0000
In: 0.5011 0.5011 0.0000
In: 0.5011 0.5011 0.5000
Hg: 0.1476 0.1476 0.4395
Hg: 0.8548 0.8548 0.5605
O: 0.2593 0.7132 0.2288
O: 0.2596 0.2596 0.2291
O: 0.2739 0.2739 0.8187
O: 0.2890 0.7425 0.7710
O: 0.7132 0.2593 0.2288
O: 0.7281 0.7281 0.1813
O: 0.7425 0.2890 0.7710
O: 0.7428 0.7428 0.7713

Entry 7:
## Lu2InHg (PBE)

Data for crystalline Lu2InHg at its relaxed geometry.

Calculated values
SG: No. 225
DFT formation energy in meV per atom: -416

a = 5.2073 Å, b = 5.2073 Å, c = 5.2073 Å
~~~
To provide mutual support to prostate cancer patients and their loved ones and those who are concerned about prostate cancer and its consequences.
To receive and share information about prostate cancer and its treatment.
To share personal experiences of prostate cancer.
To raise awareness of prostate cancer in our community.
To support research for better ways to prevent, diagnose and treat prostate cancer.
Our meetings are hosted in the University of Nottingham, Biodiscovery Institute. You can access the campus by car or tram. Parking is free in the evening. The meetings are held in the Biodiscovery Institute (building 43, circled above) with parking adjacent. You can enter the campus via the South Entrance from University Boulevard, or via Science Road from Clifton Boulevard.
Meetings are held on the second Thursday of every other month, beginning in February. We look forward to welcoming you and your family members to our informal, supportive gatherings.
Please email us at
Telephone: initial contact to Self Help Nottingham on 0115 911 1661. They will put you in touch with one of our steering group.
What3Words App for directions:
NG7 2RD, Nottingham, City Of Nottingham, England, United Kingdom